## Request
Please duplicate the data further down from the first line to the one with "-0.168" exactly.
## Listing
~~~
(1)
This record from OMol25 describes a 9-piece molecular cluster, C12H43N17O9 overall. The level of theory is ωB97M-V/def2-TZVPD.

The geometry in ORCA input format:
```
! wB97M-V def2-TZVPD RIJCOSX def2/J DEFGRID3
* xyz 0 1
C -7.654 10.271 -4.869
O -7.427 10.268 -6.077
N -6.776 9.669 -4.015
N -8.741 10.833 -4.273
H -6.852 9.678 -3.014
H -5.971 9.192 -4.375
H -9.444 11.210 -4.889
H -8.752 11.194 -3.338
C -15.665 6.021 -5.240
O -14.823 6.755 -5.749
N -15.604 5.634 -3.937
N -16.811 5.662 -5.897
H -16.357 5.182 -3.454
H -14.782 5.856 -3.403
H -17.444 4.983 -5.519
H -16.979 6.004 -6.825
C -8.878 10.405 -9.329
O -9.238 10.504 -10.506
N -9.126 9.266 -8.633
N -8.142 11.373 -8.703
H -8.880 9.192 -7.661
H -9.324 8.469 -9.207
H -8.330 12.294 -9.052
H -7.821 11.122 -7.774
C -14.466 8.589 -9.060
O -14.604 9.486 -9.881
N -13.389 7.737 -9.078
N -15.311 8.428 -8.009
H -12.735 7.759 -9.844
H -13.263 7.043 -8.360
H -15.195 7.669 -7.345
H -16.069 9.082 -7.953
C -12.048 10.306 -6.308
O -11.984 11.011 -5.299
N -11.756 10.764 -7.559
N -12.661 9.079 -6.334
H -11.971 10.221 -8.377
H -11.539 11.734 -7.703
H -13.025 8.868 -7.247
H -13.175 8.806 -5.513
C -11.815 8.656 -12.591
O -12.746 8.551 -13.371
N -11.889 9.367 -11.426
N -10.565 8.109 -12.848
H -12.789 9.785 -11.225
H -11.167 9.534 -10.738
H -10.524 7.540 -13.673
H -9.976 7.950 -12.052
C -11.884 13.332 -2.545
O -13.105 13.265 -2.705
N -11.349 13.886 -1.421
N -11.027 12.781 -3.453
H -11.988 14.267 -0.750
H -10.364 13.853 -1.242
H -10.070 13.072 -3.367
H -11.395 12.173 -4.180
C -14.367 14.406 -6.664
O -14.518 14.093 -7.831
N -14.763 15.630 -6.176
N -13.772 13.603 -5.738
H -14.522 15.977 -5.267
H -15.431 16.163 -6.700
H -13.756 13.818 -4.752
H -13.396 12.711 -6.000
C -13.744 8.175 -2.904
C -14.153 9.098 -1.746
C -13.939 8.439 -0.372
O -14.286 7.074 -0.333
C -15.670 6.872 -0.316
N -13.378 10.347 -1.741
H -14.337 8.471 -3.778
H -14.045 7.132 -2.761
H -12.675 8.228 -3.085
H -15.188 9.446 -1.777
H -14.539 8.991 0.363
H -12.895 8.532 -0.069
H -16.142 7.498 0.450
H -15.895 5.828 -0.088
H -16.146 7.053 -1.291
H -13.483 10.891 -2.593
H -12.387 10.113 -1.738
*
```

Values from the calculation:
Gap between HOMO and LUMO in eV: 9.09
HOMO level in eV: -9.091
Energy in a.u.: -2091.3682

***

(2)
This record from OMol25 describes C28H21AgBBrF4N4O5 as an isolated structure. The level of theory is ωB97M-V/def2-TZVPD.

The geometry in ORCA input format:
```
! wB97M-V def2-TZVPD RIJCOSX def2/J DEFGRID3
* xyz -2 1
Ag -1.594 2.325 0.708
O 3.271 3.601 -1.730
C 2.453 4.569 -2.179
C 2.926 5.475 -3.126
C 2.097 6.457 -3.640
C 0.790 6.570 -3.196
C 0.323 5.706 -2.223
C 1.136 4.704 -1.708
C 0.581 3.805 -0.660
O -0.438 4.167 -0.022
N 1.290 2.705 -0.453
N 0.725 1.759 0.344
C 1.524 1.015 1.028
C 1.124 -0.003 1.953
C 2.142 -0.699 2.616
C 1.882 -1.612 3.613
C 0.559 -1.862 3.967
C -0.465 -1.205 3.334
C -0.246 -0.253 2.305
O -1.256 0.294 1.738
H 2.678 3.033 -1.117
H 3.950 5.385 -3.459
H 2.473 7.132 -4.399
H 0.139 7.331 -3.610
H -0.681 5.786 -1.833
H 2.606 1.198 0.955
H 3.170 -0.495 2.332
H 2.692 -2.118 4.120
H 0.335 -2.579 4.748
H -1.496 -1.402 3.600
C -4.294 0.418 -0.257
O -2.996 -0.100 -0.450
C -2.810 -1.421 -0.235
C -3.830 -2.335 -0.014
C -3.509 -3.678 0.127
Br -4.934 -4.920 0.388
C -2.223 -4.141 0.083
C -1.178 -3.228 -0.107
C -1.465 -1.870 -0.292
O -0.491 -0.979 -0.550
C 0.177 -3.740 -0.082
N 0.486 -5.009 0.085
C 1.848 -5.060 0.041
C 2.719 -6.141 0.145
C 4.070 -5.896 0.013
C 4.566 -4.609 -0.207
C 3.724 -3.517 -0.294
C 2.366 -3.753 -0.168
N 1.275 -2.944 -0.240
H -5.000 -0.025 -0.966
H -4.235 1.485 -0.442
H -4.633 0.250 0.768
H -4.862 -2.024 0.034
H -1.973 -5.185 0.197
H -0.749 -0.112 -0.153
H 2.347 -7.139 0.319
H 4.768 -6.721 0.074
H 5.633 -4.467 -0.314
H 4.101 -2.520 -0.462
H 1.227 -1.937 -0.331
F -3.702 3.553 0.116
B -4.968 4.120 -0.144
F -5.832 3.752 0.876
F -4.873 5.490 -0.213
F -5.441 3.615 -1.347
*
```

Values from the calculation:
Gap between HOMO and LUMO in eV: 6.22
HOMO level in eV: -2.440
Energy in a.u.: -4820.5218

***
~~~
## Response
(1)
This record from OMol25 describes a 9-piece molecular cluster, C12H43N17O9 overall. The level of theory is ωB97M-V/def2-TZVPD.

The geometry in ORCA input format:
```
! wB97M-V def2-TZVPD RIJCOSX def2/J DEFGRID3
* xyz 0 1
C -7.654 10.271 -4.869
O -7.427 10.268 -6.077
N -6.776 9.669 -4.015
N -8.741 10.833 -4.273
H -6.852 9.678 -3.014
H -5.971 9.192 -4.375
H -9.444 11.210 -4.889
H -8.752 11.194 -3.338
C -15.665 6.021 -5.240
O -14.823 6.755 -5.749
N -15.604 5.634 -3.937
N -16.811 5.662 -5.897
H -16.357 5.182 -3.454
H -14.782 5.856 -3.403
H -17.444 4.983 -5.519
H -16.979 6.004 -6.825
C -8.878 10.405 -9.329
O -9.238 10.504 -10.506
N -9.126 9.266 -8.633
N -8.142 11.373 -8.703
H -8.880 9.192 -7.661
H -9.324 8.469 -9.207
H -8.330 12.294 -9.052
H -7.821 11.122 -7.774
C -14.466 8.589 -9.060
O -14.604 9.486 -9.881
N -13.389 7.737 -9.078
N -15.311 8.428 -8.009
H -12.735 7.759 -9.844
H -13.263 7.043 -8.360
H -15.195 7.669 -7.345
H -16.069 9.082 -7.953
C -12.048 10.306 -6.308
O -11.984 11.011 -5.299
N -11.756 10.764 -7.559
N -12.661 9.079 -6.334
H -11.971 10.221 -8.377
H -11.539 11.734 -7.703
H -13.025 8.868 -7.247
H -13.175 8.806 -5.513
C -11.815 8.656 -12.591
O -12.746 8.551 -13.371
N -11.889 9.367 -11.426
N -10.565 8.109 -12.848
H -12.789 9.785 -11.225
H -11.167 9.534 -10.738
H -10.524 7.540 -13.673
H -9.976 7.950 -12.052
C -11.884 13.332 -2.545
O -13.105 13.265 -2.705
N -11.349 13.886 -1.421
N -11.027 12.781 -3.453
H -11.988 14.267 -0.750
H -10.364 13.853 -1.242
H -10.070 13.072 -3.367
H -11.395 12.173 -4.180
C -14.367 14.406 -6.664
O -14.518 14.093 -7.831
N -14.763 15.630 -6.176
N -13.772 13.603 -5.738
H -14.522 15.977 -5.267
H -15.431 16.163 -6.700
H -13.756 13.818 -4.752
H -13.396 12.711 -6.000
C -13.744 8.175 -2.904
C -14.153 9.098 -1.746
C -13.939 8.439 -0.372
O -14.286 7.074 -0.333
C -15.670 6.872 -0.316
N -13.378 10.347 -1.741
H -14.337 8.471 -3.778
H -14.045 7.132 -2.761
H -12.675 8.228 -3.085
H -15.188 9.446 -1.777
H -14.539 8.991 0.363
H -12.895 8.532 -0.069
H -16.142 7.498 0.450
H -15.895 5.828 -0.088
H -16.146 7.053 -1.291
H -13.483 10.891 -2.593
H -12.387 10.113 -1.738
*
```

Values from the calculation:
Gap between HOMO and LUMO in eV: 9.09
HOMO level in eV: -9.091
Energy in a.u.: -2091.3682

***

(2)
This record from OMol25 describes C28H21AgBBrF4N4O5 as an isolated structure. The level of theory is ωB97M-V/def2-TZVPD.

The geometry in ORCA input format:
```
! wB97M-V def2-TZVPD RIJCOSX def2/J DEFGRID3
* xyz -2 1
Ag -1.594 2.325 0.708
O 3.271 3.601 -1.730
C 2.453 4.569 -2.179
C 2.926 5.475 -3.126
C 2.097 6.457 -3.640
C 0.790 6.570 -3.196
C 0.323 5.706 -2.223
C 1.136 4.704 -1.708
C 0.581 3.805 -0.660
O -0.438 4.167 -0.022
N 1.290 2.705 -0.453
N 0.725 1.759 0.344
C 1.524 1.015 1.028
C 1.124 -0.003 1.953
C 2.142 -0.699 2.616
C 1.882 -1.612 3.613
C 0.559 -1.862 3.967
C -0.465 -1.205 3.334
C -0.246 -0.253 2.305
O -1.256 0.294 1.738
H 2.678 3.033 -1.117
H 3.950 5.385 -3.459
H 2.473 7.132 -4.399
H 0.139 7.331 -3.610
H -0.681 5.786 -1.833
H 2.606 1.198 0.955
H 3.170 -0.495 2.332
H 2.692 -2.118 4.120
H 0.335 -2.579 4.748
H -1.496 -1.402 3.600
C -4.294 0.418 -0.257
O -2.996 -0.100 -0.450
C -2.810 -1.421 -0.235
C -3.830 -2.335 -0.014
C -3.509 -3.678 0.127
Br -4.934 -4.920 0.388
C -2.223 -4.141 0.083
C -1.178 -3.228 -0.107
C -1.465 -1.870 -0.292
O -0.491 -0.979 -0.550
C 0.177 -3.740 -0.082
N 0.486 -5.009 0.085
C 1.848 -5.060 0.041
C 2.719 -6.141 0.145
C 4.070 -5.896 0.013
C 4.566 -4.609 -0.207
C 3.724 -3.517 -0.294
C 2.366 -3.753 -0.168